What is #BAMFWordBattle?
#BAMFWordBattle is something I started on Twitter (along with Sarah J. Maas) to help other writers get more productive. It started with #NaNoWriMoBattle back in November, but we wanted to keep doing it after the insanity that is NaNo…
So #BAMFWordBattle was born. Essentially, these epic battles are 30 minute writing sprints done on Twitter. If you click on this link, it brings you to a search in Twitter–basically all people using the hashtag #BAMFWordBattle. That hashtag is how I (and now others!) keep the battles organized.
So what are the battles specifically–like, what happens during one? Goood question, my friend, and the reason I’m writing this post is because people keep asking me on Twitter (and in case you weren’t aware, it’s hard to explain it in 140 characters). Now when people ask, I’ll just direct them to this post. 😉
Like I mentioned, #BAMFWordBattle is a 30 minute writing sprint. That means you work on your manuscript (or blog or school paper or revisions or WHATEVER) for 30 uninterrupted minutes–no intentional distractions allowed!
When I (or the other people who have taken to using the hashtag) say something like:
then it’s time for YOU to get your typing fingers ready! Or, if you can’t jam with us now, then just stay tuned for more sprints later on. As you can see, on Feb. 1, I hosted 8 sprints!
Once you see a tweet like this:
you start TYPING. Write as much as you can, then in 30 minutes, when you see a tweet like:
you stop writing! Then we all hang out for 15 minutes, exchanging word counts via Twitter and amping ourselves up for the next round.
It’s fun, and it’s productive.
Now a few questions I’ve gotten:
What do I win if I have the most words? Er, nothing. I’m sorry, but I don’t have the money to give away prizes for every #BAMFWordBattle I host. 😛 You win the satisfaction of having more words in your MS than you had before you started.
What if you aren’t hosting a #BAMFWordBattle when I can make it? Host your own! As you can see, people are kicking them off whenever they feel the itch to write, so please do the same! I made up the name of the #BAMFWordBattle, but I don’t own it! I want everyone to write and be productive whenever they can. 😀
Do these really work? Absolutely! I have increased my daily word counts exponentially! And I’m not the only one–check out this great post for a new #BAMFWordBattler whose word count almost quadrupled!
What if my word count sucks? There is no SUCK! For real, some people can dominate in 30 minute writing sessions (>1000 words every time…I’m lookin’ at you, Sarah J. Maas), but most of us get ~500 words. Sometimes we get less, sometimes more–it’s all about what YOU can do in 30 minutes and not about comparing word counts. We aren’t competing–we’re all cheering each other on! And remember: even 1 word is more than you had before the #BAMFWordBattle began. 😉
When’s the next one? Some time today (Feb. 4, 2013) for sure! And probably more days this week and the rest of February. But again, you don’t have to wait for me! Just start your own using the hashtag #BAMFWordBattle!
So there you have it. That is #BAMFWordBattle. It ain’t that complicated, but it IS super helpful for writing productivity. And, for all my fellow writers out there, I hope to see you at one so we can “duke it out” on the page. 😉
Got any questions? Comments?
Side note: I am going out of town to pet-sit and won’t be back for 2 weeks. I’ll have some internet–i.e. my phone–so I can still host #BAMFWordBattles (and I WILL!), but email response time will be slow (even slower than usual), and comments might not get answered until after I get back. ♥
February 4, 2013 @ 6:13 pm
-- Misplaced calculated crystals --
~~~
(a)
Entry from Materials Project: crystalline LiMg30BO31 at its relaxed geometry (GGA-PBE).

The space-group type is Pmm2 (25). The calculation puts the magnetization at 0.0 μB per cell.

Cell: 8.404 8.548 8.612 Å, 90.00 90.00 90.00°
Fractional coordinates of all 63 atoms:
1 Li 0.000 0.014 0.000
2 Mg 0.000 0.002 0.500
3 Mg 0.500 0.002 0.500
4 Mg 0.000 0.493 0.000
5 Mg 0.500 0.504 0.000
6 Mg 0.000 0.498 0.500
7 Mg 0.500 0.498 0.500
8 Mg 0.256 0.000 0.253
9 Mg 0.744 0.000 0.253
10 Mg 0.256 0.000 0.747
11 Mg 0.744 0.000 0.747
12 Mg 0.250 0.500 0.250
13 Mg 0.750 0.500 0.250
14 Mg 0.250 0.500 0.750
15 Mg 0.750 0.500 0.750
16 Mg 0.243 0.749 0.000
17 Mg 0.757 0.749 0.000
18 Mg 0.248 0.750 0.500
19 Mg 0.752 0.750 0.500
20 Mg 0.261 0.252 0.000
21 Mg 0.739 0.252 0.000
22 Mg 0.250 0.250 0.500
23 Mg 0.750 0.250 0.500
24 Mg 0.000 0.755 0.250
25 Mg 0.500 0.752 0.261
26 Mg 0.000 0.755 0.750
27 Mg 0.500 0.752 0.739
28 Mg 0.000 0.245 0.246
29 Mg 0.500 0.245 0.243
30 Mg 0.000 0.245 0.754
31 Mg 0.500 0.245 0.757
32 B 0.500 0.941 0.000
33 O 0.500 0.768 0.000
34 O 0.000 0.750 0.500
35 O 0.500 0.746 0.500
36 O 0.000 0.248 0.000
37 O 0.500 0.275 0.000
38 O 0.000 0.250 0.500
39 O 0.500 0.253 0.500
40 O 0.251 0.752 0.248
41 O 0.749 0.752 0.248
42 O 0.251 0.752 0.752
43 O 0.749 0.752 0.752
44 O 0.251 0.248 0.246
45 O 0.749 0.248 0.246
46 O 0.251 0.248 0.754
47 O 0.749 0.248 0.754
48 O 0.338 0.996 0.000
49 O 0.662 0.996 0.000
50 O 0.247 0.000 0.500
51 O 0.753 0.000 0.500
52 O 0.250 0.506 0.000
53 O 0.750 0.506 0.000
54 O 0.249 0.500 0.500
55 O 0.751 0.500 0.500
56 O 0.000 0.001 0.247
57 O 0.500 0.996 0.269
58 O 0.000 0.001 0.753
59 O 0.500 0.996 0.731
60 O 0.000 0.499 0.250
61 O 0.500 0.507 0.249
62 O 0.000 0.499 0.750
63 O 0.500 0.507 0.751



(b)
Entry from Materials Project: crystalline LiMg30BO31 at its relaxed geometry (GGA-PBE).

The space-group type is Pmm2 (25). The calculation puts the magnetization at 0.0 μB per cell.

Cell: 8.396 8.545 8.631 Å, 90.00 90.00 90.00°
Fractional coordinates of all 63 atoms:
1 Li 0.000 0.998 0.000
2 Mg 0.000 0.998 0.500
3 Mg 0.500 0.998 0.000
4 Mg 0.000 0.501 0.000
5 Mg 0.000 0.510 0.500
6 Mg 0.500 0.502 0.000
7 Mg 0.500 0.495 0.500
8 Mg 0.744 0.000 0.759
9 Mg 0.744 0.000 0.241
10 Mg 0.256 0.000 0.759
11 Mg 0.256 0.000 0.241
12 Mg 0.750 0.499 0.751
13 Mg 0.750 0.499 0.249
14 Mg 0.250 0.499 0.751
15 Mg 0.250 0.499 0.249
16 Mg 0.000 0.245 0.759
17 Mg 0.000 0.245 0.241
18 Mg 0.500 0.248 0.762
19 Mg 0.500 0.248 0.238
20 Mg 0.000 0.754 0.753
21 Mg 0.000 0.754 0.247
22 Mg 0.500 0.755 0.744
23 Mg 0.500 0.755 0.256
24 Mg 0.754 0.246 0.000
25 Mg 0.755 0.252 0.500
26 Mg 0.246 0.246 0.000
27 Mg 0.245 0.252 0.500
28 Mg 0.752 0.753 0.000
29 Mg 0.737 0.747 0.500
30 Mg 0.248 0.753 0.000
31 Mg 0.263 0.747 0.500
32 B 0.500 0.059 0.500
33 O 0.000 0.257 0.000
34 O 0.500 0.254 0.000
35 O 0.500 0.230 0.500
36 O 0.000 0.743 0.000
37 O 0.000 0.758 0.500
38 O 0.500 0.746 0.000
39 O 0.500 0.723 0.500
40 O 0.751 0.248 0.748
41 O 0.751 0.248 0.252
~~~
Greatest tool for writing lots 🙂 Thanks for hosting these, Susan!
February 4, 2013 @ 7:18 pm
These sound awesome! I can’t wait to participate!
February 4, 2013 @ 9:44 pm
#BAMFWordBattles are the best! I always find that I’m very productive when I’m engaged in one, and that’s been the case since the early days during NaNoWriMo. I’m still happy that you and Sarah started doing these – it feels quite awesome to be writing right alongside you guys, other authors and other aspiring writers!
February 4, 2013 @ 9:52 pm
thanks for linking to my blog! and thanks (AGAIN) for hosting these! 😀 Can’t wait to get writing today!
February 4, 2013 @ 11:38 pm
BAMFWordBattles for the win – thank you for injecting us all with writing juice 😀 Between these and Fri night write club, my MS will be finished in no time. *cracks knuckles*
February 6, 2013 @ 6:33 am
I love this! So awesome!
# Crystal structures, kept here for reference
/*
Record 1
A geometry-optimized Li9Mn7O16 structure, computed with PBE with a Hubbard U.

Properties
The value obtained for the energy above the most stable polymorph in this dataset is 17 meV/atom.

```
data_Li9Mn7O16
_cell_length_a 11.329
_cell_length_b 11.329
_cell_length_c 9.789
_cell_angle_alpha 108.51
_cell_angle_beta 108.51
_cell_angle_gamma 14.60
_symmetry_space_group_name_H-M 'P 1'
_symmetry_Int_Tables_number 1
_symmetry_space_group_name_Hall 'P 1'
loop_
_atom_site_label
_atom_site_type_symbol
_atom_site_fract_x
_atom_site_fract_y
_atom_site_fract_z
Li1 Li 0.000 0.000 0.000
Li2 Li 0.062 0.062 0.303
Li3 Li 0.182 0.182 0.939
Li4 Li 0.314 0.314 0.561
Li5 Li 0.441 0.441 0.183
Li6 Li 0.559 0.559 0.817
Li7 Li 0.686 0.686 0.439
Li8 Li 0.818 0.818 0.061
Li9 Li 0.938 0.938 0.697
Mn1 Mn 0.126 0.126 0.630
Mn2 Mn 0.246 0.246 0.248
Mn3 Mn 0.383 0.383 0.876
Mn4 Mn 0.500 0.500 0.500
Mn5 Mn 0.617 0.617 0.124
Mn6 Mn 0.754 0.754 0.752
Mn7 Mn 0.874 0.874 0.370
O1 O 0.026 0.026 0.645
O2 O 0.096 0.096 0.983
O3 O 0.150 0.150 0.264
O4 O 0.225 0.225 0.610
O5 O 0.287 0.287 0.895
O6 O 0.346 0.346 0.226
O7 O 0.400 0.400 0.512
O8 O 0.459 0.459 0.847
O9 O 0.541 0.541 0.153
O10 O 0.600 0.600 0.488
O11 O 0.654 0.654 0.774
O12 O 0.713 0.713 0.105
O13 O 0.775 0.775 0.390
O14 O 0.850 0.850 0.736
O15 O 0.904 0.904 0.017
O16 O 0.974 0.974 0.355
```

***

Record 2
A geometry-optimized KNaCaCo5Si8O24 structure, computed with PBE with a Hubbard U.

```
data_KNaCaCo5Si8O24
_cell_length_a 5.292
_cell_length_b 10.199
_cell_length_c 10.473
_cell_angle_alpha 114.92
_cell_angle_beta 97.32
_cell_angle_gamma 104.91
_symmetry_space_group_name_H-M 'P 1'
_symmetry_Int_Tables_number 1
_symmetry_space_group_name_Hall 'P 1'
loop_
_atom_site_label
_atom_site_type_symbol
_atom_site_fract_x
_atom_site_fract_y
_atom_site_fract_z
K1 K 0.000 0.000 0.000
Na1 Na 0.734 0.212 0.448
Ca1 Ca 0.283 0.761 0.545
Co1 Co 0.093 0.572 0.165
Co2 Co 0.326 0.304 0.629
Co3 Co 0.507 0.486 0.993
Co4 Co 0.688 0.667 0.355
Co5 Co 0.926 0.404 0.830
Si1 Si 0.161 0.943 0.337
Si2 Si 0.198 0.373 0.338
Si3 Si 0.396 0.678 0.828
Si4 Si 0.453 0.129 0.828
Si5 Si 0.569 0.847 0.166
Si6 Si 0.619 0.298 0.166
Si7 Si 0.818 0.601 0.657
Si8 Si 0.861 0.035 0.657
O1 O 0.080 0.778 0.341
O2 O 0.137 0.714 0.764
O3 O 0.138 0.016 0.735
O4 O 0.144 0.389 0.986
O5 O 0.193 0.375 0.490
O6 O 0.283 0.541 0.341
*/
February 12, 2013 @ 6:58 pm
I love this idea–will have to come play on Twitter more often to join in. Ever since having a baby, I’ve found that if I’m going to get work done, it’s going to be in sprints–while she naps or is amused by a toy for a few minutes!